Understanding the Basics of Timelines [Unity]

This article explains how to use the Unity Timeline.

The Unity Timeline is a feature that allows you to visually edit music, play animations, show/hide objects, control particles, etc. along the time axis.

It is similar to the ability to add and edit music, video, subtitles, and direction to a track in video editing software.

It may be used to create a spatial piece of work where the movement of multiple objects and the timing of music are combined to create an unfolding storyline.


STYLY’s work with Timelines includes the following:

CocoTsuki VRMV – Android Girl –


Assets and Instances in the Timeline

  • Timeline Asset
    A data file (with the extension .playable) for the Timeline created in the Project view. Each track in the Timeline is not tied to a game object or anything else.
  • Timeline Instance
    Timeline Assets are used to apply actual animations, etc. to the track.
    The connection to the game objects is stored (this connection is called a binding). The data is stored in a scene (.unity).

You may think of the relationship between Timeline Assets and Timeline Instances as being similar to the relationship between prefabs and instances.

However, changes such as adding a track to a Timeline Instance are immediately reflected in the Timeline Asset without having to use ‘Apply’.


A term that explicitly refers to the actual game objects that exist in the scene when the prefab is placed in the scene.

Or, it may be a game object that you based your prefab on when you created it.

Track Types

As in video editing, each vertical line on the Timeline is called a track.

In the case of a Unity Timeline, each track represents something like an animation or audio sequence of a game object.

The main types of tracks are as follows:

  • Activation Track: A track that controls the activation or inactivity of the target object.
  • Animation Track: Controls the movement, rotation, and other animation of the target object.
  • Audio Track: Controls the audio.
  • Control Track: Controls objects, etc.
  • Playable Track: Used for scripting.

Use the Activation Track to Make the Cube Appear

Creating a Timeline Asset

Select “Timeline” from the Create menu in the Project view to create a Timeline Asset.

An icon will appear in your project.

Creating a Timeline Instance

Drag and drop the Timeline Asset you created above into the hierarchy to create a Timeline Instance.

Here we will manually rename it “New Timeline Instance” for the sake of awareness and clarity.

If you look in the Inspector window (hereinafter referred to as the Inspector), you will see that it has a component called “Playable Director” attached to it with the “Playable” property set to the Timeline Asset we just created, named New Timeline.

Open the Timeline Window

Double-clicking on a Timeline Asset in Project will open a Timeline window.

(It can also be opened by selecting Timeline from the window menu above).

Lock the Timeline Window for Editing

For ease of use, the Timeline window can be locked in the same way as the Inspector, and the Timeline window can display information about both assets and instances of the Timeline in the same way.

Editing is targeted at the Timeline Instance, so the Timeline window can be locked with the Timeline Instance selected.

Adding Tracks to the Timeline: Activation Track

From here, we will add the track to the Timeline.

Right-click in the hierarchy and create a new Cube from a 3D Object.

Drag and drop the Cube from the hierarchy to the Timeline window.

Select “Add Activation Track” in the menu.

A track has now been created on the Timeline window.

To the left of the track you can see an icon indicating the type of track, and to its left you can see the game object (binding) that is tied to this track.

When you add a track, you’ll see a time-like scale at the top.

By default, this number is not the time, but the number of frames in the game.

To switch to time (seconds), select the “Seconds” gear icon in the upper right corner of the Timeline window.

If you play Unity in this state, the Cube will simply remain visible.

Editing Tracks: Activation Track

The “Activation Track” we just created is a track that allows you to enable or disable game objects. When it’s enabled, the Cube will appear in the scene, and when it’s disabled, it will disappear.

In the clip view (the graduated area of the Timeline window) there is a box labeled Active.

This is called the Activation Clip, and for the duration of this area, the associated game object (in this case, the Cube) will be active.

Currently, the activation clip is set to be active from the beginning of the Timeline, so we can drag the activation clip to appear in the middle of the scene, or at any point we choose.

In the example, I’ve made it appear after 3 seconds.

If you play Unity in this state, the cube does not exist at first, but after 3 seconds it will appear.

Let’s see this in action.

After 3 seconds, the Cube is now appearing!

Combining these together makes it easy to create a simple animation.

Next, let’s add some music.

Add Music with Audio Track

Importing Audio Files

In this section, you will learn how to add music to the Timeline.

First, we need to prepare an audio file.

I’ll use the following free audio file to illustrate the process. You can use music that you own.

You can download the music from the following URL:

( Source: MusMus – Free Background Music and Music Downloads http://musmus.main.jp/)

Once you’ve downloaded your audio file, it’s time to import it into Unity.


Adding a Track to the Timeline:Audio Track

Add an Audio Track to the Timeline you just created.

To add an Audio Track, drag and drop an audio clip onto the Timeline window.

When you play Unity, the music will play at the start of your scene.

Check the audio waveforms, etc., and try to create an animation where the audio and the object’s movements are in sync.


  • How to use the Mouse, Keys, and Trackpad
    Scrolling(x with the mouse wheel or trackpad): stretches (scales) the clip view horizontally.
    Ctrl+Scroll:stretches the track height.
    Alt (Option) Dragging the clip view: You can drag horizontally.
  • The combination of the play button or fast forward button in the upper left corner of the Timeline window (Timeline playback control) and the white playback head on the scale makes it possible to play the Timeline anywhere on the scale without having to play the Unity editor to see what happens on the Timeline.
  • If you want to start at any position, including audio, you can change the starting position of the Timeline by changing the [Initial Time] property of the Timeline Instance. However, this is not temporary and will be saved, so set it back to zero at the end if you are using it for confirmation purposes.

Creating an Animation with the Animation Track

Adding a track to the Timeline:Animation Track

Next, we will use the Animation Track to control a complex animation in the Timeline.

First, create a Sphere by right-clicking on the hierarchy to add an Animation Track and selecting Sphere under 3D Object.

Once the Sphere has been created, drag and drop it onto the Timeline.

Select “Add Animation Track” from the menu that appears.

If an Animator component is not attached to the game object, it will be added automatically. This is because the Animation Track is bound to the Animator.

Enter Record Mode to Record the Animation

To create a clip to add to the Animation Track, we’ll animate and record manually.

To start a record, use the light red button to the left of the clip view in the Animation Track.

When you press the Record button to enter record mode, the Record button will flash and the Animation Track clip will display “Recording…” in the Animation Track.

Record the Animation

Now that we are in record mode, we will animate the target game object and record it.

The recording is done by manually changing the target property value to the timing (i.e. frames or seconds) that you want it to be, and then creating a keyframe within the clip.

For example, 3 seconds after the start of the Timeline (timing), the Y coordinate should be 10 (property value).

The property values between the keyframes will be interpolated automatically.

In the following example, we will create a keyframe by changing the Position of Sphere as the target property.

To change the Position, you can either use the Inspector to change the value or move the game object to the desired position in the Scene View.

(If the value of the property you want to change is the color of a material, you can do so from the Inspector.)

Move the Playback Head to the Desired Frame

Drag the white playback head to the desired frame.

In this case, I brought it to the music head.

Change the Numbers

Change the game object you want to animate by selecting it in either Scene View or Hierarchy View and typing a value directly into the Inspector.

In this case, the Inspector value is as follows:

You will see a white diamond in the clip. This is a keyframe.

If you want to set the current property value as a key, right-click on the property name. Select [Add Key] on the menu.

(If the key already exists, “Update Key” will be displayed and you can update the value.)

Next, let’s set the X value to 7 at 3:00.

Now you have the animation set up.

Exit Record Mode

When you have finished creating the desired keyframe, press the Record button to exit record mode.

When you play Unity in this state, the target game object will animate between the keyframe you created and the target game object.

Below is a GIF so there is no music is playing, but if your have followed the above instructions correctly it will be playing in your scene.

With Animation Track, you can set up animations like this to create free movement in the Timeline.

Make use of the Timeline to create all sorts of effects.


Pressing a button like “Holder” on the right side of the record button will open the curve view.

The curve view shows the changes in the animation as curves.

Each curve shows a change in the value of a property (in the example, the x, y, and z curves of the Position).

~~~
Diffraction record for MoSO. The powder diffractogram is simulated, not measured: it uses a PBE+U-relaxed structure and λ = 1.5418 Å (Cu Kα).
Intensities are scaled so that the largest is 100.

Structural model:
Cell: 6.336 6.336 6.572 Å, 90.00 90.00 90.00°
Space group P4bm (No. 100)
Asymmetric unit:
Mo: 0.150 0.350 0.000 [4 per cell]
S: 0.157 0.657 0.255 [4 per cell]
O: 0.147 0.647 0.841 [4 per cell]

Top 10 peaks for 10 to 90 degrees two-theta, in order of rising 2θ:
| index | Position (°2θ) | d/Å | I_rel |
| --- | --- | --- | --- |
| 0 0 1 | 13.5 | 6.572 | 100 |
| 1 1 0 | 19.8 | 4.480 | 19 |
| 1 1 1 | 24.0 | 3.702 | 12 |
| 2 0 0 | 28.2 | 3.168 | 7 |
| 2 1 1 | 34.5 | 2.602 | 34 |
| 2 1 2 | 42.1 | 2.146 | 43 |
| 3 1 0 | 45.3 | 2.004 | 10 |
| 3 1 1 | 47.4 | 1.917 | 9 |
| 2 1 3 | 52.8 | 1.733 | 15 |
| 5 2 2 | 88.2 | 1.108 | 7 |



Diffraction record for Li3FeSiO5. The powder diffractogram is simulated, not measured: it uses a PBE+U-relaxed structure and λ = 1.5418 Å (Cu Kα).
Intensities are scaled so that the largest is 100.

Structural model:
Cell: 5.473 15.804 4.946 Å, 90.00 90.00 90.00°
Space group Pna2_1 (No. 33)
Asymmetric unit:
Li: 0.164 0.092 0.000 [4 per cell]
Li: 0.165 0.506 0.005 [4 per cell]
Li: 0.180 0.695 0.001 [4 per cell]
Fe: 0.169 0.303 0.002 [4 per cell]
Si: 0.164 0.903 0.007 [4 per cell]
O: 0.117 0.101 0.604 [4 per cell]
O: 0.166 0.701 0.599 [4 per cell]
O: 0.180 0.898 0.666 [4 per cell]
O: 0.183 0.486 0.608 [4 per cell]
O: 0.188 0.314 0.612 [4 per cell]

Top 10 peaks for 10 to 90 degrees two-theta, in order of rising 2θ:
| index | Position (°2θ) | d/Å | I_rel |
| --- | --- | --- | --- |
| 0 2 0 | 11.2 | 7.902 | 52 |
| 0 1 1 | 18.8 | 4.720 | 36 |
| 1 2 0 | 19.7 | 4.499 | 99 |
| 0 3 1 | 24.7 | 3.606 | 73 |
| 2 0 0 | 32.7 | 2.737 | 100 |
| 0 0 2 | 36.3 | 2.473 | 56 |
| 1 5 1 | 37.6 | 2.395 | 55 |
| 3 5 0 | 58.4 | 1.580 | 53 |
| 1 5 3 | 66.2 | 1.412 | 41 |
| 3 5 2 | 70.8 | 1.332 | 36 |



Diffraction record for Cs4Ni3F10. The powder diffractogram is simulated, not measured: it uses a PBE+U-relaxed structure and λ = 1.5418 Å (Cu Kα).
Intensities are scaled so that the largest is 100.

Structural model:
Cell: 6.236 14.620 13.931 Å, 90.00 90.00 90.00°
Space group Cmce (No. 64)
Asymmetric unit:
Cs: 0.000 0.047 0.139 [8 per cell]
Cs: 0.000 0.246 0.387 [8 per cell]
Ni: 0.000 0.000 0.500 [4 per cell]
Ni: 0.000 0.117 0.654 [8 per cell]
F: 0.000 0.027 0.357 [8 per cell]
F: 0.000 0.249 0.151 [8 per cell]
F: 0.213 0.099 0.539 [16 per cell]
F: 0.250 0.111 0.750 [8 per cell]

Top 10 peaks for 10 to 90 degrees two-theta, in order of rising 2θ:
| index | Position (°2θ) | d/Å | I_rel |
| --- | --- | --- | --- |
| 0 0 4 | 25.6 | 3.483 | 28 |
| 1 3 2 | 26.5 | 3.363 | 100 |
| 2 0 0 | 28.6 | 3.118 | 38 |
| 1 3 3 | 30.2 | 2.959 | 19 |
| 0 6 1 | 37.5 | 2.400 | 12 |
| 2 4 0 | 37.9 | 2.372 | 16 |
| 2 0 4 | 38.8 | 2.323 | 33 |
| 1 3 6 | 45.7 | 1.987 | 14 |
| 2 6 1 | 47.8 | 1.903 | 14 |
| 3 3 2 | 49.4 | 1.844 | 16 |
~~~

You can select a key here to delete it.

(In addition to deleting a key, you can also edit the curve view in a more flexible way. For more information, see the Unity manual. → Curved View )

Upload to STYLY

Upload the scene you’ve created in your Timeline to STYLY.

Create a STYLY account

How to create an account

How to upload to STYLY from Unity